Last fall, as Federal Reserve and Treasury Department officials rode to the rescue of one financial institution after another, they took great pains to avoid doing anything that smacked of nationalizing banks.What sort of results can we expect when the government nationalizes an industry? Remarkably, the NYT reported on that this week, too:
They may no longer have that luxury. With two of the nation’s largest banks buckling under yet another round of huge losses, the incoming administration of Barack Obama and the Federal Reserve are suddenly dealing with banks that are “too big to fail” and yet unable to function as the sinking economy erodes their capital.
President Hugo Chávez, buffeted by falling oil prices that threaten to damage his efforts to establish a Socialist-inspired state, is quietly courting Western oil companies once again.UPDATE: David Rothkopf shares the schadenfreude:Until recently, Mr. Chávez had pushed foreign oil companies here into a corner by nationalizing their oil fields, raiding their offices with tax authorities and imposing a series of royalties increases.
## Attached: calculated crystals
'''
For Ho5GeS4, a crystal structure in Alexandria, relaxed with GGA-PBE gives the calculated powder diffractogram in this record (Cu Kα X-rays).
Intensities are scaled so that the largest is 100.

Most intense lines, 10° ≤ 2θ ≤ 90°, sorted by position:
| (hkl) | Position (°2θ) | d/Å | I_rel |
| --- | --- | --- | --- |
| 2 1 1 | 27.7 | 3.219 | 92 |
| 1 3 0 | 32.1 | 2.791 | 92 |
| 0 0 2 | 32.2 | 2.782 | 46 |
| 4 2 0 | 46.0 | 1.971 | 100 |
| 5 0 1 | 54.5 | 1.683 | 30 |
| 2 1 3 | 54.7 | 1.679 | 15 |
| 4 2 2 | 57.2 | 1.610 | 35 |
| 7 1 0 | 76.3 | 1.248 | 30 |
| 1 3 4 | 76.5 | 1.245 | 15 |
| 7 1 2 | 85.2 | 1.139 | 23 |

Structure:
Cell lengths 8.8262, 8.8262, 5.5642 Å; angles 90.00, 90.00, 90.00 degrees
Space group I4/m (No. 87)
Asymmetric unit:
Ho 0.0000 0.0000 0.0000 [2 per cell]
Ho 0.1002 0.3002 0.5000 [8 per cell]
Ge 0.0000 0.0000 0.5000 [2 per cell]
S 0.1006 0.3016 0.0000 [8 per cell]

=====

Diffraction record for BaLa3Ni2O8. The powder X-ray diffraction pattern is calculated, not measured: it uses a crystal structure in the Materials Project, relaxed with PBE+U and Cu Kα.

Most intense lines, 5 to 70 degrees two-theta, low angle first:
2θ = 23.9°, d 3.730, I = 222; 2θ = 31.0°, d 2.885, I = 1000; 2θ = 32.4°, d 2.764, I = 352; 2θ = 32.6°, d 2.746, I = 345; 2θ = 42.1°, d 2.148, I = 284; 2θ = 43.1°, d 2.097, I = 146; 2θ = 46.6°, d 1.948, I = 349; 2θ = 56.9°, d 1.618, I = 184; 2θ = 57.2°, d 1.611, I = 224; 2θ = 64.6°, d 1.442, I = 150

Unit cell a=5.5289 b=5.4925 c=12.8770 alpha=90.00 beta=90.00 gamma=90.00
Space group Amm2 (No. 38)
Asymmetric unit:
1 Ba 0.0000 0.0000 0.0000 (multiplicity 2)
2 La 0.0000 0.0000 0.7191 (multiplicity 2)
3 La 0.5000 0.0000 0.2160 (multiplicity 2)
4 La 0.5000 0.0000 0.4934 (multiplicity 2)
5 Ni 0.0000 0.0000 0.3574 (multiplicity 2)
6 Ni 0.5000 0.0000 0.8588 (multiplicity 2)
7 O 0.0000 0.0000 0.1980 (multiplicity 2)
8 O 0.0000 0.0000 0.5333 (multiplicity 2)
9 O 0.2621 0.2488 0.3492 (multiplicity 8)
10 O 0.5000 0.0000 0.0321 (multiplicity 2)
11 O 0.5000 0.0000 0.6732 (multiplicity 2)
'''
But faced with the plunge in prices and a decline in domestic production, senior officials have begun soliciting bids from some of the largest Western oil companies in recent weeks — including Chevron, Royal Dutch/Shell and Total of France — promising them access to some of the world’s largest petroleum reserves, according to energy executives and industry consultants here.
Venezuela may have little choice but to form new ventures with foreign oil companies. Nationalizations in other sectors, like agriculture and steel manufacturing, are fueling capital flight, leaving Venezuela reliant on oil for about 93 percent of its export revenue in 2008, up from 69 percent in 1998 when Mr. Chávez was first elected.
Meanwhile, in other Latin American news: Venezuela's Hugo Chavez seems to have lost a little of his bravura recently with reports in the papers today that as his reserves of fuck you money dwindle due to declining oil prices, he is offering the oil companies he once screwed the chance to come back to Venezuela. Bienvenido a Caracas, mis amigos, all is forgiven...er, please forgive me. Now if only we could harness the power of those oil companies to really deliver a lesson. Imagine for a moment a different world, in which big multinationals committed to a program of not investing in countries that were not dependable democracies or showed disregard for the rule of law. Think of the countries that would be squeezed, forced to change. Now that would really be the power to change the world. Meantime watch: slowly but surely Chavez's chutzpah-laden outreach will bear fruit...as long as there is a safe profit to be made...and he will more than likely be propped up by some of the same people he once abused.[HT: Andrew Sullivan]